Why is the server getting Kotlin compilation errors? - kotlin

Kotlin builds fine locally. However, it does not work properly on the server.
Below is the error log.
/root/.sdkman/candidates/kotlin/current/bin/kotlinc: line 80: 34 Killed "${JAVACMD:=java}" $JAVA_OPTS "${java_args[#]}" -cp "${kotlin_app[#]}" "${kotlin_args[#]}"
Why does this error occur?
The server is running as a docker command in the Ubuntu 18.04 environment.
Below is the dockerfile
RUN apt-get install sudo -y
RUN curl -s https://get.sdkman.io | bash
RUN chmod u+x "$HOME/.sdkman/bin/sdkman-init.sh"
RUN /bin/bash -c "source $HOME/.sdkman/bin/sdkman-init.sh && sdk install kotlin"
ENV PATH /root/.sdkman/candidates/kotlin/current/bin:$PATH
Additionally, I am using version 13 of jdk.

I solved it. It was docker container memory problem. I increased the docker container from 256mb to 1gb and it works fine. Thank you for trying to help.


Why is brew install redis not working for mac M1?

I have to install redis, but it is not working to install redis anymore using brew. Getting the following error when trying to install this way:
Warning: No available formula with the name "redis".
==> Searching for similarly named formulae and casks...
==> Casks
another-redis-desktop-manager ✔ redis-pro
jpadilla-redis redisinsight
To install another-redis-desktop-manager ✔, run:
brew install --cask another-redis-desktop-manager ✔
Tried the command brew install --cask another-redis-desktop-manager.
This also didn't work.
Actually found the answer. Basically the reason for the failure in installation was because the core homebrew packages were not correctly configured.
Identified the issue with brew doctor
The solution was
rm -rf "/opt/homebrew/Library/Taps/homebrew/homebrew-core"
brew tap homebrew/core
ARM Homebrew must be installed in the /opt/homebrew directory. Earlier, you need to manually create directories and run commands. However, you do not need to manually run commands to use the latest scripts.
Direct execution:
/bin/bash -c "$(curl -fsSL https://gitee.com/ineo6/homebrew-install/raw/master/install.sh)"
PS: terminal type Run the echo $SHELL command. The command output is as follows:
/bin/bash => bash => .bash_profile
/bin/zsh => zsh => .zprofile
If you encounter invalid environment variables, you are advised to check the terminal type before setting the correct environment variables.
Starting with macOS Catalina(10.15.x), Macs use zsh as the default Shell, using.zprofile, so the corresponding command:
echo 'eval "$(/opt/homebrew/bin/brew shellenv)"' >> ~/.zprofile
eval "$(/opt/homebrew/bin/brew shellenv)"
If you have macOS Mojave or later and have not configured zsh yourself, use.bash_profile:
echo 'eval "$(/opt/homebrew/bin/brew shellenv)"' >> ~/.bash_profile
eval "$(/opt/homebrew/bin/brew shellenv)"
Hope this can help you

How to install MSSQL-Server on Ubuntu 22.04

I am trying to install MSSQL-Server on my Ubuntu 22.04. I know that it does not currently support Ubuntu 22.04. I need to find a workaround to install the software as I don't want to downgrade.
I tried installing but it keeps giving me dependency errors. How do I solve it? Any help would be appreciated.
Unfortunately, at this time, SQL Server 2019 only works on Ubuntu 20/21. 22.04 is not supported at this time.
So either you will have to use Ubuntu 20 or, as others have stated, use Docker Containers.
You can install Docker into Ubuntu 22.04. It's a multi-step process, but it isn't that difficult.
Install Docker Engine on Ubuntu (follow the Install using the repository section)
Install SQL Server Container
That should do it.
Also, in link #2, read further below on how to connect to your docker image to run SQLCMD from within the container.
Like SQL Server 2019, you cannot install the SQLCMD tools directly into your Ubuntu 22.04 installation. But the Docker container image contains the sqlcmd tool for you to be able to connect to the database.
Or, you can use Visual Studio Code with the SQL Server (mssql) extension and it can connect to your SQL Server instance in your running Docker container.
The connection string would be:
"Server=localhost;Database=your database name;User Id=user id;Password=password"
You can leave out the Database setting if you just want to connect to the default database.
If you create any databases, you can then connect to them directly by specifying the name.
I also have same problem like this. I also tried downgrading Openssl to 1.1.1k and 1.1.1s but still not works. And finally I found this explanation
So, keep use OpenSSL 3.0.2 and you just need to change the SECLEVEL to 0 instead of 1 in /etc/ssl/openssl.conf
CipherString = DEFAULT:#SECLEVEL=0
And it works, now I can connect to SQL Server using Ubuntu 22.04.
Looked at this
and it has worked for me!
So worth giving it a shot
cd /opt/mssql/lib
ls -la
sudo rm libcrypto.so libssl.so
sudo ln -s /usr/lib/x86_64-linux-gnu/libcrypto.so.1.1 libcrypto.so
sudo ln -s /usr/lib/x86_64-linux-gnu/libssl.so.1.1 libssl.1.1
If libssl is not installed, try:
sudo apt install libssl1.1
Update: I had issues connecting using libssl1.1, so I switched to 1.0 after performing the previous steps, so I also did the following:
sudo systemctl stop mssql-server
sudo systemctl edit mssql-server
sudo ln -s /usr/lib/x86_64-linux-gnu/libssl.so.1.0.0 /opt/mssql/lib/libssl.so
sudo ln -s /usr/lib/x86_64-linux-gnu/libcrypto.so.1.0.0 /opt/mssql/lib/libcrypto.so
Then started mysql-server and things just worked fine!

Installing Apache OpenWhisk using docker-compose on Amazon Linux instance gets stuck at "waiting for the Whisk invoker to come up..."

I am trying to install openwhisk for dev mode using docker compose on Amazon Linux EC2 Instance. I am following this link for doing so https://github.com/apache/incubator-openwhisk -> Get Started.
Although, it has worked for me before once, in this installation, I am facing an issue. These are the steps I followed:
sudo yum update -y
sudo yum install -y docker
sudo service docker start
sudo chkconfig docker on
sudo yum install -y python-pip
sudo pip install docker-compose
This step is because open whisk is using sudo for docker-compose, and based on previous steps, sudo docker-compose -v gives a command not found.
sudo cp /usr/local/bin/docker-compose /bin
sudo yum install -y git
cd ~
git clone https://github.com/apache/incubator-openwhisk-devtools.git
cd incubator-openwhisk-devtools/docker-compose
sudo make quick-start
Update: The problem is that the make command gets stuck at the stage where it is waiting for invokers.
I have not made any changes to any source code, nor I did any other steps before this on the instance. It was a freshly created instance.
Am I missing something in OpenWhisk or EC2 or the combination of both? Any help would be great.
Update: I tried the docker-compose method for installing open whisk on Amazon Linux 1, Amazon Linux 2, Ubuntu 16.04 as well as Ubuntu 14.04. On all platforms, it got stuck at sudo make quick-start where it is waiting for invokers.
Update: Instead of using python-pip for docker-compose installation, used the command from docker website as well.
sudo curl -L https://github.com/docker/compose/releases/download/1.22.0/docker-compose-$(uname -s)-$(uname -m) -o /usr/local/bin/docker-compose
sudo chmod +x /usr/local/bin/docker-compose
if docker-compose command is not found it means you didn't install docker-compose correctly.
I don't think you can install docker-compose as a python library using pip
See the instructions here https://docs.docker.com/compose/install/#install-compose
someting like
sudo curl -L https://github.com/docker/compose/releases/download/1.22.0/docker-compose-$(uname -s)-$(uname -m) -o /usr/local/bin/docker-compose
Or take a look at https://medium.com/#khandelwal12nidhi/docker-setup-on-aws-ec2-instance-c670ff3d5f1b

creating docker file to run selenium Javascript based tests

I am trying to create a docker file to run selenium tests for a java script based project. Below is my docker file so far:
#base image
FROM selenium/standalone-chrome
#access to the project within docker container - Bundle app source
COPY ./seleniumTest/project /app
# Install Node.js
RUN sudo apt-get update
RUN sudo apt-get install --yes curl
RUN curl --silent --location https://deb.nodesource.com/setup_8.x | sudo bash -
#Define runtime
ENTRYPOINT /app/login.test.js
while building and running the docker image as: $ docker run -p 4000:8080 dockertest2 returns /bin/sh: 1: /app/login.test.js: Permission denied
why is the permission denied for it? P.S: I have changed to the dir which contains both Dockerfile and automation test JS files using (cd dir).
Create a Docker Container with all the dependencies needed for you app to run
Which can be specified in the DockerFile.
Attached a script at Entry point to Start Selenium Server Standalone.
Build and Run your Container and Remember to Bind and Expose the port your selenium is running

Apache doesn't start in AMPPS on Ubuntu

~~~
No. 1
The following is a DFT calculation (the ωB97M-V functional and the def2-TZVPD basis) of a molecular structure, C23H14CrI2N4O7S5.

Results
Kohn-Sham gap (spin up / spin down)	5.365 / 5.470	eV
net charge	-1
E	-5261.4377	a.u.
E_LUMO (spin up / spin down)	0.034 / 0.034	Ha
HOMO (spin up / spin down)	-4.4 / -4.5	eV
<S²>	3.80
energy relative to the best compared isomer or geometry (same formula, charge and spin)	0.000	eV
2S+1	4

Last column: Mulliken spin population.
Element x y z (Å)
Cr (-20.3105, -4.8401, 5.9577)  3.108
I (-22.3253, -4.3267, -1.0682)  0.000
C (-21.6324, -4.0286, 0.8922)  -0.005
C (-20.3379, -3.5947, 1.1293)  0.001
C (-19.9249, -3.3623, 2.4358)  -0.003
I (-17.9812, -2.8043, 2.9010)  0.001
C (-20.7749, -3.5338, 3.5447)  -0.006
O (-20.4062, -3.2643, 4.7757)  0.031
C (-22.0587, -4.0286, 3.2609)  -0.016
C (-23.0352, -4.2152, 4.4028)  0.003
N (-22.4808, -4.7145, 5.6948)  -0.048
C (-23.0579, -3.9231, 6.8016)  -0.003
C (-22.3262, -4.1602, 8.0848)  0.002
C (-22.9274, -4.4137, 9.3104)  -0.009
C (-22.0870, -4.5769, 10.3974)  0.008
C (-20.7080, -4.5451, 10.2592)  -0.008
C (-20.1919, -4.3653, 8.9809)  0.018
N (-20.9918, -4.1293, 7.9421)  -0.037
C (-22.4886, -4.2640, 1.9501)  0.003
H (-19.6724, -3.4546, 0.2859)  0.000
H (-23.8677, -4.8392, 4.0721)  0.000
H (-23.4644, -3.2331, 4.6160)  -0.003
H (-22.7162, -5.6922, 5.8191)  0.010
H (-24.1391, -4.0868, 6.9033)  -0.003
H (-22.8992, -2.8668, 6.5787)  0.002
H (-24.0140, -4.4751, 9.4061)  0.000
H (-22.5241, -4.7868, 11.3687)  0.001
H (-20.0508, -4.7126, 11.1053)  0.000
H (-19.1467, -4.4320, 8.7603)  0.003
H (-23.5036, -4.6176, 1.7792)  0.000
S (-18.1990, -11.7623, 5.0721)  -0.002
C (-18.7361, -10.2206, 5.2563)  0.000
S (-19.5184, -9.6627, 6.6666)  0.002
C (-19.8321, -8.0171, 6.1654)  0.013
C (-19.3946, -7.6927, 4.9409)  0.012
S (-19.6688, -6.1454, 4.1645)  -0.058
S (-18.5576, -8.9687, 4.0869)  0.001
S (-20.6417, -6.8775, 7.2169)  -0.049
O (-16.3142, -3.9046, 6.3714)  0.001
C (-17.4931, -3.6784, 6.5547)  0.000
O (-18.4634, -4.5074, 6.5136)  0.013
C (-17.8310, -2.2996, 7.0689)  0.005
C (-16.8196, -1.4979, 7.6173)  0.002
C (-17.1357, -0.2880, 8.2297)  -0.002
C (-18.4498, 0.1818, 8.3545)  0.002
C (-19.4288, -0.6067, 7.7703)  0.005
C (-19.1274, -1.8071, 7.1189)  0.046
N (-20.8182, -0.2370, 7.9499)  0.001
O (-21.6824, -0.9538, 7.4590)  0.001
O (-21.0879, 0.7719, 8.5863)  0.000
N (-16.0747, 0.5217, 8.8142)  0.000
O (-16.3780, 1.5306, 9.4248)  0.000
O (-14.9285, 0.1494, 8.6524)  0.000
H (-15.8021, -1.8366, 7.5922)  0.000
H (-18.6947, 1.1150, 8.8474)  0.000
H (-19.9277, -2.3646, 6.6643)  -0.040

***

No. 2
The following is a DFT calculation (the ωB97M-V functional and the def2-TZVPD basis) of a molecular structure, C23H15BrCl3N3O10PtS3.

Results
Kohn-Sham gap (spin up / spin down)	7.352 / 7.351	eV
net charge	-2
E	-7070.7581	a.u.
E_LUMO (spin up / spin down)	0.129 / 0.129	Ha
HOMO (spin up / spin down)	-3.8 / -3.8	eV
~~~

I'm trying to run the Ampps local server 3.8 on Ubuntu. Mysql works good but apache doen't run.
When I type
I get
/usr/local/ampps/apache/bin/httpd: symbol lookup error: /usr/local/ampps/apache/lib/libapr-1.so.0: undefined symbol: dlopen
How to solve?
I experienced a similar problem. Firstly you must check is there anything that uses 80 port.
If any you kill that.
Then you backup libapr and then install libs again.
Run following commands:
cd /usr/local/ampps/apache/lib
sudo mkdir backup
sudo mv ./libapr* ./backup/
sudo apt-get -y install libaprutil1 libaprutil1-dev libapr1 libapr1-dev
and try run ampps.